
In our last article, "Option Deltas - A Crude Model," we hinted at the next Greek we would cover, "gamma." Before learning about gamma, it is essential to understand the concept of delta. So far, we have published five articles on delta, starting with "Introduction to Delta." If you have not yet read those articles, we strongly urge you to start there.

If you look up gamma in an options trading textbook, you are likely to find a definition that reads like this:

**Next to the entry, the page also holds crystal structures:**
┌──
1.
For Ba2Cd6Rh3, DFT lattice parameters and positions (PBE) gives the computed PXRD pattern in this record (Cu Kα (weighted mean of Kα1 and Kα2)).

Largest 8 diffraction maxima, sorted by position, 2θ = 10–80°:
2θ 28.9, I 1000
2θ 32.4, I 248
2θ 36.9, I 410
2θ 38.2, I 845
2θ 39.9, I 340
2θ 44.7, I 147
2θ 55.5, I 246
2θ 61.7, I 275

Structure:
```
Ba2Cd6Rh3
1.0
8.434 0.000 0.000
-4.217 7.304 0.000
0.000 0.000 4.523
Ba Cd Rh
2 6 3
Cartesian
0.000 4.869 0.000
4.217 2.435 0.000
-0.849 1.471 0.000
-2.989 5.177 2.262
1.699 0.000 0.000
1.228 2.128 2.262
5.977 0.000 2.262
3.368 5.833 0.000
-1.590 2.754 2.262
3.180 0.000 2.262
2.627 4.550 2.262
```

---

2.
For BaCd2Rh2, DFT lattice parameters and positions (PBE) gives the computed PXRD pattern in this record (Cu Kα (weighted mean of Kα1 and Kα2)).

Largest 8 diffraction maxima, sorted by position, 2θ = 10–80°:
2θ 31.2, I 860
2θ 31.9, I 1000
2θ 36.9, I 999
2θ 44.0, I 316
2θ 49.5, I 567
2θ 53.1, I 340
2θ 60.4, I 305
2θ 62.9, I 226

Structure:
```
BaCd2Rh2
1.0
4.878 0.000 0.000
0.000 4.878 0.000
0.000 0.000 10.270
Ba Cd Rh
2 4 4
Cartesian
0.000 0.000 0.000
2.439 2.439 5.135
0.000 0.000 3.696
0.000 0.000 6.574
2.439 2.439 1.439
2.439 2.439 8.832
0.000 2.439 2.568
0.000 2.439 7.703
2.439 0.000 2.568
2.439 0.000 7.703
```

~~~~~

For NaMoPO5, a cell relaxed with GGA+U gives the calculated powder diffractogram in this record (λ = 1.5418 Å (Cu Kα)).

a b c (Å): 5.5396 5.5396 7.3807
angles (deg): 104.91 104.91 103.83
Positions (direct):
Na 0.1673 0.8327 0.7500
Na 0.8327 0.1673 0.2500
Mo 0.5000 0.5000 0.0000
Mo 0.5000 0.5000 0.5000
P 0.1796 0.8204 0.2500
P 0.8204 0.1796 0.7500
O 0.1013 0.2465 0.8990
O 0.1815 0.6185 0.3641
O 0.2465 0.1013 0.3990
O 0.3815 0.8185 0.1359
O 0.4289 0.5711 0.7500
O 0.5711 0.4289 0.2500
O 0.6185 0.1815 0.8641
O 0.7535 0.8987 0.6010
O 0.8185 0.3815 0.6359
O 0.8987 0.7535 0.1010

Principal peaks in the range 2θ = 10–90°, low angle first:
Position (°2θ)	I_rel
17.5	94
20.4	22
26.4	100
28.7	59
33.7	49
34.1	54
41.9	22
49.9	23
52.2	20
54.4	25


For NaMoP2O7, a cell relaxed with GGA+U gives the calculated powder diffractogram in this record (λ = 1.5418 Å (Cu Kα)).

a b c (Å): 7.5592 8.3173 9.9363
angles (deg): 90.00 111.76 90.00
Positions (direct):
Na 0.2155 0.0196 0.2144
Na 0.2155 0.4804 0.7144
Na 0.7845 0.5196 0.2856
Na 0.7845 0.9804 0.7856
Mo 0.2435 0.0047 0.7503
Mo 0.2435 0.4953 0.2503
Mo 0.7565 0.5047 0.7497
Mo 0.7565 0.9953 0.2497
P 0.1717 0.7171 0.9538
P 0.1717 0.7829 0.4538
P 0.4268 0.2465 0.0419
P 0.4268 0.2535 0.5419
P 0.5732 0.7465 0.4581
P 0.5732 0.7535 0.9581
P 0.8283 0.2171 0.5462
P 0.8283 0.2829 0.0462
O 0.0405 0.5920 0.8541
O 0.0405 0.9080 0.3541
O 0.1271 0.6090 0.3977
O 0.1271 0.8910 0.8977
O 0.1915 0.7090 0.1125
O 0.1915 0.7910 0.6125
O 0.3172 0.2193 0.8799
O 0.3172 0.2807 0.3799
O 0.3274 0.1297 0.5997
O 0.3274 0.3703 0.0997
O 0.3724 0.6666 0.9391
O 0.3724 0.8334 0.4391
O 0.4737 0.0905 0.1318
O 0.4737 0.4095 0.6318
O 0.5263 0.5905 0.3682
O 0.5263 0.9095 0.8682
└──

"Gamma is the sensitivity of an option's delta to changes in the underlying asset's price. To find an option's gamma, one needs to solve for the second derivative of one's option pricing formula with respect to price."

If you recall the textbook definition that we gave for "delta" in "Option Deltas - The Basics," this definition of gamma looks quite similar. Indeed only a few words have been swapped. Like that definition, this one has a few problems. First, gamma is not exclusive to financial options. Second, referencing calculus is as needlessly complicated in defining gamma as it was in delta. On the other hand, the nice thing about the textbook definition is it clearly shows the relationship between delta and gamma.

Gamma is how delta changes when price changes. If a trader is long gamma, his position's delta will increase in a rising market and decrease as prices fall. If a trader is short gamma, the inverse will happen. As prices rally, the short gamma trader's delta will decrease, and as the market drops, his delta will increase. If gamma were free, smart traders would want to own as much as possible.

Traders typically measure their gamma using the same units used to measure delta with an added per-price-change component. In the grain and soybean markets, this usually means equivalent futures per penny. A trader who estimates his gamma to be positive-1.00 expects his delta to increase or decrease by the equivalent of a futures contract for each penny the market rises or falls, respectively. A trader with negative-1.00 gamma will expect to be shorter or longer an equivalent futures contract for each penny prices rise or fall, respectively.

== Inserted here: materials data ==
Structure and simulated X-ray powder pattern of Sm3SiTe6 (DFT lattice parameters and positions (PBE); CuKα).

The 6 most intense peaks (2θ from 10° to 90°), in order of rising 2θ:
2theta	I (rel.)
22.27	37.7
30.73	100.0
33.34	66.2
34.02	39.8
37.04	35.0
44.47	22.3

Structural model:
```
Sm3SiTe6
1.0
6.112 -7.554 0.000
6.112 7.554 0.000
0.000 0.000 7.358
Sm Si Te
6 2 12
Direct
0.094 0.906 0.500 Sm
0.224 0.416 0.387 Sm
0.416 0.224 0.887 Sm
0.584 0.776 0.387 Sm
0.776 0.584 0.887 Sm
0.906 0.094 0.000 Sm
0.297 0.703 0.846 Si
0.703 0.297 0.346 Si
0.065 0.597 0.669 Te
0.124 0.202 0.695 Te
0.202 0.124 0.195 Te
0.280 0.720 0.209 Te
0.403 0.935 0.669 Te
0.460 0.540 0.703 Te
0.540 0.460 0.203 Te
0.597 0.065 0.169 Te
0.720 0.280 0.709 Te
0.798 0.876 0.695 Te
0.876 0.798 0.195 Te
0.935 0.403 0.169 Te
```

----------

Entry 1:
Diffraction record for BAsPbO5. The X-ray powder pattern is simulated, not measured: it uses a DFT-relaxed cell (GGA-PBE, Alexandria) and Cu Kα (λ = 1.5418 Å).
No peak broadening, texture or thermal motion is included.

Main lines, low angle first (2θ = 15–90°):
2θ 18.95, d 4.682, intensity 38
2θ 24.47, d 3.638, intensity 100
2θ 28.33, d 3.150, intensity 34
2θ 29.19, d 3.059, intensity 88
2θ 38.45, d 2.341, intensity 30
2θ 46.11, d 1.969, intensity 58

Crystal structure
```
BAsPbO5
1.0
7.2757 0.0000 0.0000
-3.6378 6.3009 0.0000
0.0000 0.0000 6.9978
B As Pb O
3 3 3 15
Cartesian
0.4341 0.5870 0.0000
6.5502 0.0825 2.3326
3.9291 5.6314 4.6652
-1.4602 2.5452 0.9995
-0.7036 6.2929 5.6647
2.1638 3.7638 3.3321
-1.4316 2.4999 4.4988
-0.7571 6.2908 2.1662
2.1887 3.8112 6.8314
0.3560 0.0725 1.3607
-0.1999 1.9806 6.8926
-0.9824 3.7089 2.1317
-1.8226 5.4837 4.5600
1.8808 0.9725 6.6919
0.9171 3.5957 4.4643
0.0654 5.2973 6.7969
2.4737 2.5025 2.2580
3.8716 0.8910 4.5906
2.0225 5.1374 2.2274
3.5396 4.1858 4.3593
5.4930 1.1426 2.0267
4.5682 2.9074 6.9232
3.5226 5.9564 6.0259
7.0349 0.2720 3.6933
```

Entry 2:
Diffraction record for BAs5Pb6O20. The X-ray powder pattern is simulated, not measured: it uses a DFT-relaxed cell (GGA-PBE, Alexandria) and Cu Kα (λ = 1.5418 Å).
No peak broadening, texture or thermal motion is included.

Main lines, low angle first (2θ = 15–90°):
2θ 19.25, d 4.610, intensity 62
2θ 25.91, d 3.439, intensity 61
2θ 26.11, d 3.413, intensity 48
2θ 28.69, d 3.111, intensity 63
2θ 30.06, d 2.973, intensity 100
2θ 43.98, d 2.059, intensity 34

Crystal structure
```
BAs5Pb6O20
1.0
7.3022 0.0000 0.0000
0.0000 7.3022 0.0000
0.0000 0.0000 10.2397
B As Pb O
1 5 6 20
Cartesian
0.0000 0.0000 0.0000
1.4230 1.4245 2.1827
1.4245 5.8792 8.0570
3.6511 3.6511 5.1199
5.8776 1.4230 8.0570
5.8792 5.8776 2.1827
0.0000 3.6511 5.1026
2.0867 5.0212 1.9323
2.2809 2.0867 8.3074
3.6511 0.0000 5.1371
5.0212 5.2155 8.3074
5.2155 2.2809 1.9323
0.0176 2.0466 7.4013
0.3176 2.2409 3.2017
0.3488 1.2036 0.7832
1.2036 6.9534 9.4565
2.0466 7.2846 2.8385
2.2409 6.9845 7.0380
2.4590 4.6178 8.5937
2.4949 4.5990 4.2491
2.6844 2.4590 1.6460
2.7032 2.4949 5.9906

One of the benefits of purchasing options is that doing so also buys gamma. However, there is no free lunch here; this is one reason options have a time premium. As time passes, the premium in those options should also decrease, all else being equal. Traders use the Greek "theta" to measure this time-decay process. We will cover theta in a future article. Suffice it to say that gamma and theta are usually opposing forces in an options portfolio.* This opposition starts to hint at the idea of option replication. Replication is a process where traders who own options lean on gamma to offset theta, or traders who are short options lean on theta to offset gamma. We will cover option replication in a separate article.

Gamma does not always come from options. For example, grain and soybean producers are naturally short gamma. Because price and yield tend to move in opposite directions, producers often have less to sell in rising markets and more to sell when prices fall. This tendency looks a lot like a short gamma position. Mix that with the fact that producers are naturally long delta, and it makes sense that owning puts feels like such a natural hedge for most producers. It is also why put options play a prominent role in our Quartzite Precision Marketing program for grain and soybean producers.

_Crystal structures, as found in the file_
____________
Record 1
Computed X-ray diffraction stick pattern of CsThNpO6 for a wavelength of 1.5418 Å, from a crystal structure in Alexandria, relaxed with GGA-PBE.
Lines closer than 0.1° are merged.

Most intense lines, 10° ≤ 2θ ≤ 80°, sorted by position:
two_theta, Rel. int.
13.7, 38.1
14.3, 57.8
25.9, 100.0
27.0, 77.2
27.5, 92.5
27.8, 25.6
28.1, 46.4
28.8, 66.0
41.2, 27.3
43.8, 46.5
47.5, 72.6
55.6, 27.9

Atomic structure:
abc: 7.6947 7.6947 7.6947
angles: 120.10 115.05 94.30
Atoms (fractional coordinates):
Cs 0.3954 0.1454 0.2500
Cs 0.6046 0.8546 0.7500
Th 0.0000 0.0000 0.5000
Th 0.0000 0.5000 0.0000
Np 0.0000 0.5000 0.5000
Np 0.5000 0.5000 0.0000
O 0.1020 0.8520 0.2500
O 0.1436 0.4494 0.3340
O 0.1436 0.8096 0.6942
O 0.1735 0.4235 0.7500
O 0.3846 0.1904 0.8340
O 0.3846 0.5506 0.1942
O 0.6154 0.4494 0.8058
O 0.6154 0.8096 0.1660
O 0.8265 0.5765 0.2500
O 0.8564 0.1904 0.3058
O 0.8564 0.5506 0.6660
O 0.8980 0.1480 0.7500

Record 2
Computed X-ray diffraction stick pattern of Os2PtRh8 for a wavelength of 1.5418 Å, from a crystal structure in Alexandria, relaxed with GGA-PBE.
Lines closer than 0.1° are merged.

Most intense lines, 10° ≤ 2θ ≤ 80°, sorted by position:
two_theta, Rel. int.
25.9, 22.0
37.9, 6.5
40.6, 11.7
41.1, 100.0
44.0, 5.6
46.5, 20.1
46.7, 18.1
50.2, 11.5
68.1, 10.4
70.8, 8.2
71.0, 7.6
77.3, 4.8

Atomic structure:
abc: 7.1443 7.1443 7.1443
angles: 148.28 118.80 70.59
Atoms (fractional coordinates):
Os 0.1884 0.1884 0.0000
Os 0.8116 0.8116 0.0000
Pt 0.5000 0.5000 0.0000
Rh 0.0717 0.3408 0.7310
Rh 0.1954 0.0000 0.1954
Rh 0.3371 0.8371 0.5000
Rh 0.3902 0.6592 0.7310
Rh 0.6098 0.3408 0.2690
Rh 0.6629 0.1629 0.5000
Rh 0.8046 0.0000 0.8046
Rh 0.9283 0.6592 0.2690


Theoretical powder XRD pattern
Compound: CsNpF4
Radiation: Cu Ka
Structure: a structure optimized by DFT (GGA-PBE)
Peak positions follow from Bragg's law for the DFT cell and can differ from measured ones.

Cell and atoms:
```
data_CsNpF4
_chemical_formula_sum 'Cs4 Np4 F16'
_cell_length_a 6.6746
_cell_length_b 3.8646
_cell_length_c 16.9588
_cell_angle_alpha 90.00
_cell_angle_beta 90.00
_cell_angle_gamma 90.00
_symmetry_space_group_name_H-M 'P n m a'
_symmetry_Int_Tables_number 62
_symmetry_space_group_name_Hall '-P 2ac 2n'
loop_
_atom_site_label
_atom_site_type_symbol
_atom_site_fract_x
_atom_site_fract_y
_atom_site_fract_z
Cs1 Cs 0.2284 0.2500 0.1950
Np1 Np 0.2477 0.7500 0.4453
F1 F 0.0117 0.7500 0.9491
F2 F 0.1096 0.2500 0.8215
F3 F 0.1151 0.2500 0.3783
F4 F 0.1276 0.2500 0.5392
```

Most intense lines, 10 to 80 degrees two-theta, sorted by position:
2θ 10.43, rel. 31, (0 0 2); 2θ 24.88, rel. 100, (1 0 4); 2θ 26.71, rel. 42, (2 0 0); 2θ 27.18, rel. 86, (1 1 1); 2θ 27.97, rel. 40, (0 1 3); 2θ 39.06, rel. 45, (2 1 3); 2θ 44.74, rel. 28, (2 1 5); 2θ 46.27, rel. 24, (1 1 7); 2θ 47.46, rel. 25, (3 1 1); 2θ 53.92, rel. 25, (1 2 4)


Theoretical X-ray powder pattern of SrSn2Br6O5 for λ = 1.5418 Å (Cu Kα), from a DFT-relaxed cell (GGA-PBE, the Materials Project).
____________

Of course, there is no silver bullet. Even the best portfolios require regular attention and management. There is risk in everything. Keeping tabs on that risk and managing it is almost certainly better than ignoring markets and hoping they go the right way over the long run. Understanding how delta, gamma, and the other Greeks can help you manage your risk more precisely is just another tool in the toolbox. As always, thanks for taking the time to read, and we look forward to your questions and feedback.


*Usually, but not always

There are some complex positions where traders may appear to have both their gamma and theta be positive or negative. This appearance is often only temporary and indicates a portfolio dependent on the path prices take, not just volatility. It is for this reason that experience is necessary when managing complicated portfolios containing multiple options. Blindly trusting a model can lead to disastrous results. Models are only as good as the traders using them.